
Programming insights to Storytelling, it's all here.

Ibrahim Diallo

Page - 26



Unicorn Programming Fairyland

Unicorn Programming Fairyland

This should be a short post because I am just trying to document a small observation. I don't contribute to stack overflow as much as I used to. Many times I suggested code that I wouldn't normally use on a daily basis. Well documented standards thoroughly explained in hope of making everyone a better programmer. But if I was to solve the same problem, chances are I wouldn't use my own approach.

Everything you need to know about favicon

Everything you need to know about favicon

A very simple concept yet so easy to screw up. When I worked on my first website, it took me a while to understand how to deal with this favicon thing. I noticed how a lot of websites had this cool little icon when I bookmarked them but mine didn't. So I started my quest on finding how to create my own little cool icon. Today, I will save you that trouble and show you all I learned over the many years.

The Software shall be used for Good, not Evil.

The Software shall be used for Good, not Evil.

A few months ago I updated my PHP version. PHP 5.4 to 5.5 . I never had any problems updating PHP before. I follow its development closely and try to remove my deprecated functions long before they are officially removed. But this time I was caught off guard. It silently broke part of my website for the silliest reason.

Creating Human friendly and bot fiendish web pages

Creating Human friendly and bot fiendish web pages

I've recently been entertaining the idea of how much effort people will make to read my blog. I created this page here and used a few methods to make sure a typical user can't read the content.

The Show

The Show

Freddy the magician walks onto the stage. With a quick glance, he scans the room and stops on one person. This victim subject with big round eyes is convincing enough for us to know he is not part of the act, a complete stranger. The magician asks him to think of a card, almost immediately interrupts and says: King of diamonds. The subject is awed, "How did you know?" Applause and the magician walks out of the room.

How to maintain your website

How to maintain your website

Creating a website is easy. Depending on what you are trying to do, there are plenty of tutorials available on the web to help you. I even have one for you. The part that is not talked about a lot is how to maintain them. If there is anything I learned through out the years is that no matter how confident I am with my own code, I cannot say I have it memorized. So I had to developed a system organize it in a fashion I can easily update, revert, and keep my sanity in check.

Making PHP as fast as a Web server to send files

Making PHP as fast as a Web server to send files

Web servers are very good at streaming files and currently Nginx holds the throne when it comes to serving static files. My blog used to go down every time I get a spike in traffic but now I serve all my static files with Nginx. However, there are times where you don't want to serve files directly. You want to add a layer of security before serving it. How do you serve the files efficiently with PHP?

Games[4Diversity] Jam 2015, USC Los Angeles

Games[4Diversity] Jam 2015, USC Los Angeles

I love games but I am not that good at making them. I do enjoy writing code that runs them but it hardly makes sense to the end user. When I saw a tweet from Thatgamecompany about a Game jam right here in Los Angeles at USC, I didn't hesitate a second to sign up. March 14th here I come!

Things to consider before switching to nodejs

Things to consider before switching to nodejs

Nodejs is the attempt to unify all the technologies of the web. With it, you can write one language to rule them all. JavaScript on the front end and JavaScript on the back end. The beauty of it, is that you don't have to worry about the one thing that makes JavaScript a pain to work with on different browser: The DOM.

Putting kids in debt

Putting kids in debt

• What comes next are molecular data, not part of the entry:
+++
(1)
ORCA calculation (the ωB97M-V functional and the def2-TZVPD basis) on 2 unconnected molecules or ions with the total composition C6H11BOS in a non-equilibrium geometry.

The geometry in XYZ format:
```
20
Properties=species:S:1:pos:R:3:mulliken_charge:R:1
B 0.7790 0.2590 0.1273 0.201
C -1.9066 1.7174 -0.7308 -0.679
C -1.5370 0.5963 -0.1707 0.170
C -2.0036 -0.6154 0.3868 0.450
C 1.2769 1.4838 0.9223 -1.264
C -2.2939 -1.6042 -0.7294 -1.119
C 3.2695 -1.0534 0.1255 -0.968
O -2.1889 -0.7990 1.5701 -0.598
S 1.4613 -1.2797 -0.3183 -0.048
H -2.9479 1.9742 -1.1648 0.208
H -1.2878 2.5250 -0.8632 0.289
H 0.6175 1.7565 1.6836 0.427
H 1.4009 2.3502 0.4341 0.491
H 2.3060 1.4411 1.2941 0.441
H -2.1333 -2.6802 -0.7026 0.341
H -1.7826 -1.3145 -1.6083 0.341
H -3.4226 -1.6622 -0.6917 0.298
H 3.2629 -1.0289 1.1192 0.358
H 3.5055 -0.1488 -0.2074 0.307
H 3.6246 -1.9169 -0.4756 0.351
```

Strongest force on any atom (hartree/bohr): 0.1129
Multiplicity: 1
HOMO-LUMO gap (eV): 8.590
Highest occupied orbital energy (eV): -8.295
Molar mass (g/mol): 142.032
Energy relative to the best compared isomer or geometry (same formula, charge and spin) (kJ/mol): 288.9

---

(2)
ORCA calculation (the ωB97M-V functional and the def2-TZVPD basis) on a molecular structure, C6H11Br2F2OSSbSe5Tc in a non-equilibrium geometry.

The geometry in XYZ format:
```
30
Properties=species:S:1:pos:R:3:mulliken_charge:R:1
Tc 1.7527 -0.6598 1.2557 1.119
Br -1.1318 1.5126 -4.3063 -0.119
C 0.4262 2.6901 -3.9860 -0.461
Br 0.6590 3.3914 -2.2468 -0.067
H 0.1891 3.4915 -4.6819 0.311
H 1.2710 2.1120 -4.2960 0.338
O 0.2529 0.2780 0.4566 -0.496
S -1.3095 0.4523 0.3081 0.181
C -2.2222 -0.4880 1.5590 -0.149
C -3.5740 -0.5076 0.8421 -0.782
C -3.3664 -0.8473 -0.6345 -0.691
C -1.8774 -0.6806 -0.9527 0.055
H -2.2179 0.1277 2.4951 0.414
H -1.6461 -1.4372 1.7259 -0.023
H -4.1009 0.4520 0.8770 0.316
H -4.2427 -1.1630 1.3122 0.402
H -3.8925 -0.2972 -1.3425 0.377
H -3.7041 -1.9077 -0.8445 0.291
H -1.7541 -0.1801 -1.8679 0.033
H -1.2612 -1.6153 -0.7487 0.253
Se 0.4715 -2.7433 2.1025 -0.178
F 0.3189 -0.5156 3.6568 -0.237
C 1.1794 -1.4394 3.0812 0.225
F 2.9484 0.2028 2.4463 -0.662
H 2.1463 -1.4729 3.6795 0.447
Se 6.0718 2.8576 -0.8646 -0.333
Sb 5.6180 0.8906 0.3422 0.895
Se 2.7888 -2.0515 -0.1850 -0.094
Se 6.6355 -0.5152 1.8582 -0.317
Se 3.5714 0.0631 -1.0410 -0.050
```

Strongest force on any atom (hartree/bohr): 0.0630
Multiplicity: 1
HOMO-LUMO gap (eV): 6.807
Highest occupied orbital energy (eV): -11.622
Molar mass (g/mol): 943.584
Charge: +1

---

(3)
ORCA calculation (the ωB97M-V functional and the def2-TZVPD basis) on C6H11BrO in the gas phase in a non-equilibrium geometry.

The geometry in XYZ format:
```
19
Properties=species:S:1:pos:R:3:mulliken_charge:R:1
C -0.0041 -2.6339 0.0727 -1.580
C 0.2935 -1.1882 0.1364 0.998
C 1.7556 -0.7133 0.5789 -1.240
C -0.5911 -0.2323 -0.1594 -0.151
Br -2.4481 -0.5285 -0.6311 -0.198
C -0.0914 1.4357 -0.4851 0.163
C -1.3451 2.3368 -0.5802 -1.581
O 0.6490 1.7744 0.6467 -0.546
+++
• End of the molecular data:

I got very lucky. I dropped out of college before I got the idea of getting a loan.

JS Tip of the day

Loading jQuery asynchronously

The recommended way to load jQuery is with a script tag. You place it on the bottom of your page and make sure every script that depends on it are loaded after.…
